Job =
Count the lines further down that contain the word "species" and give the number alone.
Given =
<<<
{
  "formula": "C66H83N7O22",
  "method": "the ωB97M-V functional and the def2-TZVPD basis",
  "species": ["C", "C", "C", "C", "C", "C", "N", "O", "O", "H", "H", "H", "H", "H", "C", "C", "C", "C", "C", "C", "N", "O", "O", "H", "H", "H", "H", "H", "C", "C", "C", "C", "C", "C", "N", "O", "O", "H", "H", "H", "H", "H", "C", "C", "C", "C", "C", "C", "N", "O", "O", "H", "H", "H", "H", "H", "C", "C", "C", "C", "C", "C", "N", "O", "O", "H", "H", "H", "H", "H", "C", "C", "C", "C", "C", "C", "N", "O", "O", "H", "H", "H", "H", "H", "C", "C", "C", "C", "C", "C", "N", "O", "O", "H", "H", "H", "H", "H", "C", "C", "O", "C", "H", "H", "H", "H", "H", "H", "C", "C", "O", "C", "H", "H", "H", "H", "H", "H", "C", "C", "O", "C", "H", "H", "H", "H", "H", "H", "C", "C", "O", "C", "H", "H", "H", "H", "H", "H", "C", "C", "O", "C", "H", "H", "H", "H", "H", "H", "C", "C", "O", "C", "H", "H", "H", "H", "H", "H", "C", "C", "O", "C", "H", "H", "H", "H", "H", "H", "C", "C", "O", "C", "H", "H", "H", "H", "H", "H"],
>>>
Here it is =
1